Work order.
Return the lines further down up to the one that holds "0.224", that line included, please.
Excerpt.
........
w) C2H10N2O3 | the ωB97M-V functional and the def2-TZVPD basis

```
! wB97M-V def2-TZVPD RIJCOSX def2/J DEFGRID3
* xyz 0 1
C 0.844 1.485 -1.032
N 0.874 0.058 -0.752
C 1.085 -0.312 0.560
N 1.076 -1.650 0.802
O 1.163 0.556 1.481
H 0.064 1.954 -0.486
H 0.739 1.647 -2.123
H 1.830 1.867 -0.667
H 0.249 -0.534 -1.276
H 1.317 -2.317 0.080
H 1.431 -1.914 1.695
O -1.613 0.210 1.330
H -0.573 0.318 1.496
H -1.969 1.001 1.763
O -1.854 -0.908 -1.205
H -1.869 -0.546 -0.265
H -2.795 -0.914 -1.400
*
```

Output
Lowest unoccupied orbital energy = 0.029 Ha
Structure (SMILES) = CNC(N)=O.O.O
Gap between HOMO and LUMO = 10.510 eV

Results of the Mulliken charge analysis, in e, for atoms 1 through 5: C -0.706; N -0.257; C 0.422; N -0.373; O -0.697


x) C2H10N2O3 | the ωB97M-V functional and the def2-TZVPD basis

```
! wB97M-V def2-TZVPD RIJCOSX def2/J DEFGRID3
* xyz 0 1
N -1.118 -1.059 0.538
C -0.886 0.208 -0.002
C 0.602 0.650 0.057
N 1.472 -0.402 0.104
O 0.748 1.734 -0.496
H -0.694 -1.313 1.411
H -2.027 -1.461 0.475
H -0.932 0.264 -1.184
H -1.596 0.964 0.328
H 1.032 -1.236 0.328
H 2.208 -0.480 -0.611
O -1.322 -1.486 -2.586
H -2.058 -1.557 -3.211
H -1.534 -1.727 -1.701
O 1.868 2.437 2.522
H 1.495 1.905 1.772
H 2.739 2.560 2.257
*
```

Output
Lowest unoccupied orbital energy = 0.017 Ha
Structure (SMILES) = NCC(N)=O.O.O
Gap between HOMO and LUMO = 10.181 eV

Results of the Mulliken charge analysis, in e, for atoms 1 through 5: N -0.630; C -0.086; C 0.316; N -0.429; O -0.532


Quick one: most stable of them? w)


w) C19H26N4O3S | the ωB97M-V functional and the def2-TZVPD basis

```
! wB97M-V def2-TZVPD RIJCOSX def2/J DEFGRID3
* xyz 0 1
C -3.464 -2.498 1.033
C -4.060 -1.102 1.222
N -3.834 -0.185 0.130
C -4.221 -0.562 -1.210
C -5.729 -0.750 -1.341
S -2.505 0.807 0.252
O -2.610 1.783 -0.792
O -2.430 1.258 1.613
C -1.069 -0.197 -0.065
C -0.604 -0.397 -1.358
C 0.577 -1.075 -1.548
C 1.303 -1.491 -0.413
N 2.548 -2.050 -0.482
C 3.492 -1.651 -1.508
C 4.422 -0.547 -0.922
N 3.779 0.106 0.195
C 2.735 1.002 -0.056
C 2.451 1.436 -1.355
C 1.430 2.323 -1.645
C 0.628 2.813 -0.636
C 0.911 2.438 0.664
C 1.952 1.577 0.969
O 2.202 1.300 2.292
C 3.712 -0.840 1.296
C 3.235 -2.225 0.785
N 0.778 -1.393 0.816
C -0.364 -0.762 0.979
H -3.963 -3.029 0.227
H -2.401 -2.440 0.809
H -3.594 -3.069 1.949
H -3.618 -0.617 2.094
H -5.139 -1.184 1.389
H -3.901 0.267 -1.842
H -3.699 -1.474 -1.537
H -6.066 -1.621 -0.785
H -6.243 0.129 -0.963
H -5.988 -0.887 -2.388
H -1.163 0.005 -2.189
H 0.940 -1.257 -2.546
H 4.079 -2.527 -1.804
H 2.961 -1.281 -2.381
H 4.713 0.172 -1.686
H 5.339 -1.001 -0.535
H 3.033 1.072 -2.186
H 1.257 2.610 -2.671
H -0.205 3.464 -0.844
H 0.299 2.815 1.473
H 1.548 1.768 2.826
H 3.033 -0.473 2.055
H 4.714 -0.927 1.731
H 4.076 -2.899 0.608
H 2.550 -2.680 1.496
H -0.722 -0.671 1.995
*
```

Output
Lowest unoccupied orbital energy = 0.027 Ha
Structure (SMILES) = CCN(CC)S(=O)(=O)c1ccc(N2CCN(c3ccccc3O)CC2)nc1
Gap between HOMO and LUMO = 8.192 eV

Results of the Mulliken charge analysis, in e, for atoms 1 through 5: C -0.813; C -0.703; N 0.137; C -0.195; C -1.490


x) C19H26N4O3S | the ωB97M-V functional and the def2-TZVPD basis

```
! wB97M-V def2-TZVPD RIJCOSX def2/J DEFGRID3
* xyz 0 1
C -1.524 -3.355 0.424
C -0.712 -2.187 0.958
O 0.126 -1.417 0.353
N -1.166 -1.980 2.224
C -0.871 -0.835 2.994
C -1.836 0.440 2.562
N -1.805 0.609 1.220
C -0.922 1.550 0.606
S 0.296 2.373 1.347
C 1.357 3.122 0.334
C 2.511 2.117 -0.106
O 3.662 2.834 0.126
N 2.115 1.176 -0.709
C 3.195 0.351 -1.277
C 3.180 -0.946 -0.290
C 3.987 -1.972 -0.817
C 3.730 -3.390 -0.141
C 5.519 -1.945 -0.772
N -0.848 1.545 -0.792
C -1.626 0.626 -1.601
C -1.486 0.964 -2.841
C -2.426 0.220 -3.816
C -3.549 -0.515 -3.015
C -3.589 -0.728 -1.723
C -2.752 0.026 -0.855
C -2.714 0.062 0.444
O -3.686 -0.660 1.211
H -1.158 -3.481 -0.708
H -2.615 -3.095 0.224
H -1.246 -4.184 0.848
H -2.023 -2.588 2.443
H 0.094 -0.616 2.752
H -0.801 -0.920 3.893
H -1.428 1.413 3.066
H -2.925 0.215 3.025
H 0.689 3.200 -0.448
H 1.733 3.870 0.869
........
Worked solution.
w) C2H10N2O3 | the ωB97M-V functional and the def2-TZVPD basis

```
! wB97M-V def2-TZVPD RIJCOSX def2/J DEFGRID3
* xyz 0 1
C 0.844 1.485 -1.032
N 0.874 0.058 -0.752
C 1.085 -0.312 0.560
N 1.076 -1.650 0.802
O 1.163 0.556 1.481
H 0.064 1.954 -0.486
H 0.739 1.647 -2.123
H 1.830 1.867 -0.667
H 0.249 -0.534 -1.276
H 1.317 -2.317 0.080
H 1.431 -1.914 1.695
O -1.613 0.210 1.330
H -0.573 0.318 1.496
H -1.969 1.001 1.763
O -1.854 -0.908 -1.205
H -1.869 -0.546 -0.265
H -2.795 -0.914 -1.400
*
```

Output
Lowest unoccupied orbital energy = 0.029 Ha
Structure (SMILES) = CNC(N)=O.O.O
Gap between HOMO and LUMO = 10.510 eV

Results of the Mulliken charge analysis, in e, for atoms 1 through 5: C -0.706; N -0.257; C 0.422; N -0.373; O -0.697


x) C2H10N2O3 | the ωB97M-V functional and the def2-TZVPD basis

```
! wB97M-V def2-TZVPD RIJCOSX def2/J DEFGRID3
* xyz 0 1
N -1.118 -1.059 0.538
C -0.886 0.208 -0.002
C 0.602 0.650 0.057
N 1.472 -0.402 0.104
O 0.748 1.734 -0.496
H -0.694 -1.313 1.411
H -2.027 -1.461 0.475
H -0.932 0.264 -1.184
H -1.596 0.964 0.328
H 1.032 -1.236 0.328
H 2.208 -0.480 -0.611
O -1.322 -1.486 -2.586
H -2.058 -1.557 -3.211
H -1.534 -1.727 -1.701
O 1.868 2.437 2.522
H 1.495 1.905 1.772
H 2.739 2.560 2.257
*
```

Output
Lowest unoccupied orbital energy = 0.017 Ha
Structure (SMILES) = NCC(N)=O.O.O
Gap between HOMO and LUMO = 10.181 eV

Results of the Mulliken charge analysis, in e, for atoms 1 through 5: N -0.630; C -0.086; C 0.316; N -0.429; O -0.532


Quick one: most stable of them? w)


w) C19H26N4O3S | the ωB97M-V functional and the def2-TZVPD basis

```
! wB97M-V def2-TZVPD RIJCOSX def2/J DEFGRID3
* xyz 0 1
C -3.464 -2.498 1.033
C -4.060 -1.102 1.222
N -3.834 -0.185 0.130
C -4.221 -0.562 -1.210
C -5.729 -0.750 -1.341
S -2.505 0.807 0.252
O -2.610 1.783 -0.792
O -2.430 1.258 1.613
C -1.069 -0.197 -0.065
C -0.604 -0.397 -1.358
C 0.577 -1.075 -1.548
C 1.303 -1.491 -0.413
N 2.548 -2.050 -0.482
C 3.492 -1.651 -1.508
C 4.422 -0.547 -0.922
N 3.779 0.106 0.195
C 2.735 1.002 -0.056
C 2.451 1.436 -1.355
C 1.430 2.323 -1.645
C 0.628 2.813 -0.636
C 0.911 2.438 0.664
C 1.952 1.577 0.969
O 2.202 1.300 2.292
C 3.712 -0.840 1.296
C 3.235 -2.225 0.785
N 0.778 -1.393 0.816
C -0.364 -0.762 0.979
H -3.963 -3.029 0.227
H -2.401 -2.440 0.809
H -3.594 -3.069 1.949
H -3.618 -0.617 2.094
H -5.139 -1.184 1.389
H -3.901 0.267 -1.842
H -3.699 -1.474 -1.537
H -6.066 -1.621 -0.785
H -6.243 0.129 -0.963
H -5.988 -0.887 -2.388
H -1.163 0.005 -2.189
H 0.940 -1.257 -2.546
H 4.079 -2.527 -1.804
H 2.961 -1.281 -2.381
H 4.713 0.172 -1.686
H 5.339 -1.001 -0.535
H 3.033 1.072 -2.186
H 1.257 2.610 -2.671
H -0.205 3.464 -0.844
H 0.299 2.815 1.473
H 1.548 1.768 2.826
H 3.033 -0.473 2.055
H 4.714 -0.927 1.731
H 4.076 -2.899 0.608
H 2.550 -2.680 1.496
H -0.722 -0.671 1.995
*
```

Output
Lowest unoccupied orbital energy = 0.027 Ha
Structure (SMILES) = CCN(CC)S(=O)(=O)c1ccc(N2CCN(c3ccccc3O)CC2)nc1
Gap between HOMO and LUMO = 8.192 eV

Results of the Mulliken charge analysis, in e, for atoms 1 through 5: C -0.813; C -0.703; N 0.137; C -0.195; C -1.490


x) C19H26N4O3S | the ωB97M-V functional and the def2-TZVPD basis

```
! wB97M-V def2-TZVPD RIJCOSX def2/J DEFGRID3
* xyz 0 1
C -1.524 -3.355 0.424
C -0.712 -2.187 0.958
O 0.126 -1.417 0.353
N -1.166 -1.980 2.224
C -0.871 -0.835 2.994
C -1.836 0.440 2.562
N -1.805 0.609 1.220
C -0.922 1.550 0.606
S 0.296 2.373 1.347
C 1.357 3.122 0.334
C 2.511 2.117 -0.106
O 3.662 2.834 0.126
N 2.115 1.176 -0.709
C 3.195 0.351 -1.277
C 3.180 -0.946 -0.290
C 3.987 -1.972 -0.817
C 3.730 -3.390 -0.141
C 5.519 -1.945 -0.772
N -0.848 1.545 -0.792
C -1.626 0.626 -1.601
C -1.486 0.964 -2.841
C -2.426 0.220 -3.816
C -3.549 -0.515 -3.015
C -3.589 -0.728 -1.723
C -2.752 0.026 -0.855
C -2.714 0.062 0.444
O -3.686 -0.660 1.211
H -1.158 -3.481 -0.708
H -2.615 -3.095 0.224